## Work order
Next, return the entries further down from the line with "4.009 -4.041" to the end character by character.
## Contents
-- begin --
[1]
DFT (wB97M-V/def2-TZVPD) results for an isolated molecule of C3H8OS at a distorted geometry.

Orbital gap in eV: 9.987
Relative energy (zero: lowest compared OMol25 entry of this formula, charge and spin) in kcal per mole: 35.0
Molecular weight in g/mol: 92.163
Total charge: 0
E_LUMO in eV: 0.965
SMILES: COCCS

Last column: Löwdin charge in e.
Geometry (Å):
C -2.045 -0.693 -0.112  -0.07
O -0.658 -0.407 0.196  -0.19
C 0.113 0.597 -0.314  -0.37
C 1.510 0.602 0.245  -0.61
S 2.694 -0.693 -0.177  0.70
H -2.147 -1.824 -0.088  0.10
H -2.912 -0.383 0.570  0.10
H -2.332 -0.233 -1.009  0.05
H 0.412 0.667 -1.392  0.12
H -0.260 1.624 0.049  0.14
H 1.451 0.633 1.338  0.07
H 1.950 1.620 -0.067  0.10
H 2.223 -1.511 0.762  -0.15



[2]
DFT (wB97M-V/def2-TZVPD) results for C25H50BCuN2O8PSSb as an isolated structure.

Spin multiplicity: 2
Expectation value of S²: 0.75
Orbital gap (spin up / spin down) in eV: 6.659 / 6.729
Relative energy (zero: lowest compared OMol25 entry of this formula, charge and spin) in kcal per mole: 39.3
Molecular weight in g/mol: 765.840
Total charge: -1
E_LUMO (spin up / spin down) in eV: 2.348 / 2.320

Last column: Löwdin charge in e.
Geometry (Å):
Cu -0.178 -0.344 -1.282  0.51
O 1.189 2.207 0.275  -0.24
S -0.357 1.947 0.329  0.38
O -0.928 3.073 1.026  -0.30
O -0.528 0.648 0.997  -0.34
O -0.833 1.817 -1.069  -0.41
C 0.968 -5.182 -0.126  -0.02
C 1.679 -3.891 0.264  -0.48
C 2.269 -4.014 1.657  0.00
O 0.685 -2.841 0.271  0.04
B 0.757 -2.141 -0.939  -0.51
O 1.811 -2.630 -1.691  0.07
C 2.672 -3.394 -0.823  -0.48
C 3.721 -2.435 -0.273  0.00
C 3.337 -4.493 -1.631  -0.01
H 0.147 -5.356 0.572  0.09
H 1.642 -6.039 -0.086  0.09
H 0.557 -5.107 -1.134  0.09
H 1.500 -4.362 2.349  0.09
H 2.639 -3.054 2.014  0.06
H 3.091 -4.734 1.664  0.09
H 3.268 -1.660 0.349  0.08
H 4.215 -1.934 -1.106  0.11
H 4.474 -2.959 0.320  0.09
H 2.605 -5.094 -2.168  0.08
H 3.927 -5.145 -0.982  0.09
H 4.009 -4.041 -2.362  0.09
C 5.253 -1.340 3.032  -0.08
C 4.841 0.103 3.287  -0.22
N 3.870 0.592 2.314  -0.06
C 2.615 1.085 2.875  -0.20
C 1.699 -0.038 3.343  -0.07
C 4.384 0.947 1.082  -0.41
O 5.605 0.902 0.913  0.01
C 3.486 1.276 -0.047  -0.10
C 4.056 1.777 -1.190  -0.03
C 3.361 1.774 -2.407  -0.09
C 2.188 1.040 -2.450  -0.13
N 1.620 0.503 -1.381  -0.03
C 2.075 0.904 -0.121  -0.28
H 5.970 -1.672 3.787  0.07
H 5.718 -1.424 2.050  0.06
H 4.383 -1.999 3.066  0.05
H 5.723 0.746 3.274  0.11
H 4.377 0.186 4.272  0.11
H 2.106 1.710 2.150  0.10
H 2.857 1.738 3.723  0.12
H 1.398 -0.669 2.505  0.06
H 0.787 0.379 3.774  0.08
H 2.186 -0.664 4.096  0.07
H 5.091 2.092 -1.149  0.11
H 3.793 2.171 -3.314  0.08
H 1.713 0.818 -3.401  0.12
H 1.747 0.205 0.642  0.10
C -6.440 4.235 -1.680  -0.21
C -5.523 3.656 -2.753  -0.48
Sb -3.630 2.705 -2.186  1.39
C -2.490 4.498 -1.789  -0.44
C -3.252 5.796 -1.552  -0.20
C -4.180 2.201 -0.149  -0.45
C -4.186 3.316 0.892  -0.18
H -7.387 4.585 -2.104  0.06
H -5.978 5.080 -1.170  0.04
H -6.681 3.490 -0.918  0.05
H -5.260 4.425 -3.487  0.03
H -6.056 2.882 -3.313  0.02
H -1.815 4.600 -2.641  0.04
H -1.866 4.241 -0.932  0.02
H -3.936 6.031 -2.371  0.05
H -2.562 6.640 -1.453  0.06
H -3.840 5.751 -0.634  0.04
H -3.451 1.436 0.132  0.01
H -5.163 1.721 -0.206  0.02
H -3.204 3.782 0.960  0.04
H -4.417 2.917 1.884  0.07
H -4.929 4.081 0.662  0.04
C -4.664 -1.517 -0.967  -0.16
P -2.898 -1.781 -0.746  0.58
C -2.563 -1.655 1.005  -0.15
C -2.614 -3.505 -1.186  -0.16
O -2.133 -0.827 -1.623  -0.39
H -5.245 -2.234 -0.385  0.05
H -4.906 -1.618 -2.026  0.06
H -4.904 -0.503 -0.648  0.03
H -3.232 -2.308 1.570  0.06
H -2.670 -0.618 1.322  0.05
H -1.524 -1.941 1.174  0.05
H -3.261 -4.164 -0.604  0.06
H -1.571 -3.740 -0.974  0.03
H -2.809 -3.643 -2.249  0.06



[3]
DFT (wB97M-V/def2-TZVPD) results for C40H50BN11O3PbS4 as an isolated structure at a distorted geometry.

Orbital gap in eV: 7.346
Relative energy (zero: lowest compared OMol25 entry of this formula, charge and spin) in kcal per mole: 40.6
Molecular weight in g/mol: 1079.194
Total charge: 0
-- stop --
## Here it is
H 4.009 -4.041 -2.362  0.09
C 5.253 -1.340 3.032  -0.08
C 4.841 0.103 3.287  -0.22
N 3.870 0.592 2.314  -0.06
C 2.615 1.085 2.875  -0.20
C 1.699 -0.038 3.343  -0.07
C 4.384 0.947 1.082  -0.41
O 5.605 0.902 0.913  0.01
C 3.486 1.276 -0.047  -0.10
C 4.056 1.777 -1.190  -0.03
C 3.361 1.774 -2.407  -0.09
C 2.188 1.040 -2.450  -0.13
N 1.620 0.503 -1.381  -0.03
C 2.075 0.904 -0.121  -0.28
H 5.970 -1.672 3.787  0.07
H 5.718 -1.424 2.050  0.06
H 4.383 -1.999 3.066  0.05
H 5.723 0.746 3.274  0.11
H 4.377 0.186 4.272  0.11
H 2.106 1.710 2.150  0.10
H 2.857 1.738 3.723  0.12
H 1.398 -0.669 2.505  0.06
H 0.787 0.379 3.774  0.08
H 2.186 -0.664 4.096  0.07
H 5.091 2.092 -1.149  0.11
H 3.793 2.171 -3.314  0.08
H 1.713 0.818 -3.401  0.12
H 1.747 0.205 0.642  0.10
C -6.440 4.235 -1.680  -0.21
C -5.523 3.656 -2.753  -0.48
Sb -3.630 2.705 -2.186  1.39
C -2.490 4.498 -1.789  -0.44
C -3.252 5.796 -1.552  -0.20
C -4.180 2.201 -0.149  -0.45
C -4.186 3.316 0.892  -0.18
H -7.387 4.585 -2.104  0.06
H -5.978 5.080 -1.170  0.04
H -6.681 3.490 -0.918  0.05
H -5.260 4.425 -3.487  0.03
H -6.056 2.882 -3.313  0.02
H -1.815 4.600 -2.641  0.04
H -1.866 4.241 -0.932  0.02
H -3.936 6.031 -2.371  0.05
H -2.562 6.640 -1.453  0.06
H -3.840 5.751 -0.634  0.04
H -3.451 1.436 0.132  0.01
H -5.163 1.721 -0.206  0.02
H -3.204 3.782 0.960  0.04
H -4.417 2.917 1.884  0.07
H -4.929 4.081 0.662  0.04
C -4.664 -1.517 -0.967  -0.16
P -2.898 -1.781 -0.746  0.58
C -2.563 -1.655 1.005  -0.15
C -2.614 -3.505 -1.186  -0.16
O -2.133 -0.827 -1.623  -0.39
H -5.245 -2.234 -0.385  0.05
H -4.906 -1.618 -2.026  0.06
H -4.904 -0.503 -0.648  0.03
H -3.232 -2.308 1.570  0.06
H -2.670 -0.618 1.322  0.05
H -1.524 -1.941 1.174  0.05
H -3.261 -4.164 -0.604  0.06
H -1.571 -3.740 -0.974  0.03
H -2.809 -3.643 -2.249  0.06



[3]
DFT (wB97M-V/def2-TZVPD) results for C40H50BN11O3PbS4 as an isolated structure at a distorted geometry.

Orbital gap in eV: 7.346
Relative energy (zero: lowest compared OMol25 entry of this formula, charge and spin) in kcal per mole: 40.6
Molecular weight in g/mol: 1079.194
Total charge: 0